Source:
/*
VASP calculation (GGA-PBE) on CoTeSe2 after structural relaxation.

```
CoTeSe2
1.0
3.436 0.000 0.000
0.000 5.100 0.008
0.000 2.369 4.510
Co Se Te
1 2 1
direct
0.500 0.750 0.750
0.000 0.936 0.937
0.000 0.564 0.563
0.500 0.250 0.250
```

Output
Volume, Å³ per cell: 79.0
E_tot, eV per atom: -4.374
ΔE_f (raw), kJ/mol of formula units: -27

VASP calculation (GGA-PBE) on CoTeSe2 after structural relaxation.

```
CoTeSe2
1.0
3.384 0.000 0.000
0.000 4.881 0.000
0.000 0.000 4.881
Se Co Te
2 1 1
direct
0.000 0.000 0.000
0.000 0.500 0.500
0.500 0.000 0.500
0.500 0.500 0.000
```

Output
Volume, Å³ per cell: 80.6
E_tot, eV per atom: -3.692
ΔE_f (raw), kJ/mol of formula units: 236

----------

# Li4MnNi3P4O16 | the Alexandria database | PBE with a Hubbard U | relaxed
# Calculated total energy in eV/atom: -6.50
# Total magnetization in μB/atom: 0.393
# Calculated volume in Å³/cell: 291
data_Li4MnNi3P4O16
_symmetry_space_group_name_H-M 'P 1 m 1'
_symmetry_Int_Tables_number 6
_cell_length_a 4.7438
_cell_length_b 5.9820
_cell_length_c 10.2684
_cell_angle_alpha 90.00
_cell_angle_beta 90.01
_cell_angle_gamma 90.00
loop_
_symmetry_equiv_pos_as_xyz
'x,y,z'
'x,-y,z'
loop_
_atom_site_label
_atom_site_type_symbol
_atom_site_fract_x
_atom_site_fract_y
_atom_site_fract_z
Li1 Li 0.0000 0.2493 0.0000
Li2 Li 0.4962 0.2504 0.5085
Mn1 Mn 0.5162 0.5000 0.2270
Ni1 Ni 0.0144 0.0000 0.2830
Ni2 Ni 0.4822 0.0000 0.7785
Ni3 Ni 0.9787 0.5000 0.7274
P1 P 0.0767 0.5000 0.4172
P2 P 0.4142 0.5000 0.9045
P3 P 0.5866 0.0000 0.0972
P4 P 0.9155 0.0000 0.5990
O1 O 0.2023 0.5000 0.5572
O2 O 0.2111 0.2928 0.3458
O3 O 0.2393 0.0000 0.6044
O4 O 0.2631 0.0000 0.1065
O5 O 0.2760 0.2931 0.8344
O6 O 0.2930 0.5000 0.0448
O7 O 0.6979 0.0000 0.9548
O8 O 0.7306 0.2036 0.1675
O9 O 0.7384 0.5000 0.9012
O10 O 0.7538 0.5000 0.4147
O11 O 0.7756 0.2055 0.6703
O12 O 0.7954 0.0000 0.4580

----------

## K2ErTlO4 (PBE)

Data for crystalline K2ErTlO4 at its relaxed geometry.

Computed properties:
Total moment, Bohr magnetons per cell: 0.00
Space-group type: P2/m
ΔE_f (raw), eV/atom: -1.90
Calculated volume, Å³ per atom: 16.26

Cell: 3.465 5.993 6.592 Å, 108.20 90.00 90.00°
Fractional positions:
K 0.500 0.000 0.500
K 0.000 0.500 0.500
Er 0.500 0.500 0.000
Tl 0.000 0.000 0.000
O 0.500 0.237 0.194
O 0.500 0.763 0.806
O 0.000 0.283 0.808
O 0.000 0.717 0.192

----------

Below is Tb4PrSm2Sc after structural relaxation, with properties calculated at the PBE level.

Computed properties:
* space-group type: Pmmm (47)
* DOS(E_F): 18.73 states/eV/cell
* formation energy: 0.135 eV/atom

Structure (POSCAR):
```
Tb4PrSm2Sc
1.0
5.8924 0.0000 0.0000
0.0000 5.9045 0.0000
0.0000 0.0000 7.3756
Tb Pr Sm Sc
4 1 2 1
direct
0.0000 0.0000 0.2396 Tb
0.0000 0.0000 0.7604 Tb
0.5000 0.5000 0.2396 Tb
0.5000 0.5000 0.7604 Tb
0.0000 0.5000 0.5000 Pr
0.0000 0.5000 0.0000 Sm
0.5000 0.0000 0.5000 Sm
0.5000 0.0000 0.0000 Sc
```



Below is KTaRu2 after structural relaxation, with properties calculated at the PBE level.

Computed properties:
* space-group type: Cmm2 (35)
* offset from the most stable computed form: 1.90 eV per formula unit
* DOS(E_F): 11.08 states/eV/cell
* formation energy: 0.833 eV/atom

Structure (POSCAR):
```
KTaRu2
1.0
3.0478 0.0000 0.0000
0.0000 4.7753 0.0000
0.0000 0.0000 10.4441
K Ta Ru
2 2 4
direct
0.0000 0.0000 0.0000 K
0.5000 0.5000 0.0000 K
0.0000 0.5000 0.6804 Ta
0.5000 0.0000 0.6804 Ta
0.0000 0.0000 0.4790 Ru
0.0000 0.5000 0.2714 Ru
0.5000 0.0000 0.2714 Ru
0.5000 0.5000 0.4790 Ru
```

----------

Entry 1:
Computed, not measured: a relaxed NaSr3Ir crystal at the PBE level of DFT.

For the formation energy, the calculation gives 0.570 eV per atom. The energy above the most stable polymorph in this dataset comes out at 66.8 kJ per mole of atoms. The total DFT energy (no corrections) comes out at -0.1819 Ry/atom. Its total magnetization is 0.00 μB/f.u.
*/

What to do:
Next, give back the listing further up word for word.

Outcome:
VASP calculation (GGA-PBE) on CoTeSe2 after structural relaxation.

```
CoTeSe2
1.0
3.436 0.000 0.000
0.000 5.100 0.008
0.000 2.369 4.510
Co Se Te
1 2 1
direct
0.500 0.750 0.750
0.000 0.936 0.937
0.000 0.564 0.563
0.500 0.250 0.250
```

Output
Volume, Å³ per cell: 79.0
E_tot, eV per atom: -4.374
ΔE_f (raw), kJ/mol of formula units: -27

VASP calculation (GGA-PBE) on CoTeSe2 after structural relaxation.

```
CoTeSe2
1.0
3.384 0.000 0.000
0.000 4.881 0.000
0.000 0.000 4.881
Se Co Te
2 1 1
direct
0.000 0.000 0.000
0.000 0.500 0.500
0.500 0.000 0.500
0.500 0.500 0.000
```

Output
Volume, Å³ per cell: 80.6
E_tot, eV per atom: -3.692
ΔE_f (raw), kJ/mol of formula units: 236

----------

# Li4MnNi3P4O16 | the Alexandria database | PBE with a Hubbard U | relaxed
# Calculated total energy in eV/atom: -6.50
# Total magnetization in μB/atom: 0.393
# Calculated volume in Å³/cell: 291
data_Li4MnNi3P4O16
_symmetry_space_group_name_H-M 'P 1 m 1'
_symmetry_Int_Tables_number 6
_cell_length_a 4.7438
_cell_length_b 5.9820
_cell_length_c 10.2684
_cell_angle_alpha 90.00
_cell_angle_beta 90.01
_cell_angle_gamma 90.00
loop_
_symmetry_equiv_pos_as_xyz
'x,y,z'
'x,-y,z'
loop_
_atom_site_label
_atom_site_type_symbol
_atom_site_fract_x
_atom_site_fract_y
_atom_site_fract_z
Li1 Li 0.0000 0.2493 0.0000
Li2 Li 0.4962 0.2504 0.5085
Mn1 Mn 0.5162 0.5000 0.2270
Ni1 Ni 0.0144 0.0000 0.2830
Ni2 Ni 0.4822 0.0000 0.7785
Ni3 Ni 0.9787 0.5000 0.7274
P1 P 0.0767 0.5000 0.4172
P2 P 0.4142 0.5000 0.9045
P3 P 0.5866 0.0000 0.0972
P4 P 0.9155 0.0000 0.5990
O1 O 0.2023 0.5000 0.5572
O2 O 0.2111 0.2928 0.3458
O3 O 0.2393 0.0000 0.6044
O4 O 0.2631 0.0000 0.1065
O5 O 0.2760 0.2931 0.8344
O6 O 0.2930 0.5000 0.0448
O7 O 0.6979 0.0000 0.9548
O8 O 0.7306 0.2036 0.1675
O9 O 0.7384 0.5000 0.9012
O10 O 0.7538 0.5000 0.4147
O11 O 0.7756 0.2055 0.6703
O12 O 0.7954 0.0000 0.4580

----------

## K2ErTlO4 (PBE)

Data for crystalline K2ErTlO4 at its relaxed geometry.

Computed properties:
Total moment, Bohr magnetons per cell: 0.00
Space-group type: P2/m
ΔE_f (raw), eV/atom: -1.90
Calculated volume, Å³ per atom: 16.26

Cell: 3.465 5.993 6.592 Å, 108.20 90.00 90.00°
Fractional positions:
K 0.500 0.000 0.500
K 0.000 0.500 0.500
Er 0.500 0.500 0.000
Tl 0.000 0.000 0.000
O 0.500 0.237 0.194
O 0.500 0.763 0.806
O 0.000 0.283 0.808
O 0.000 0.717 0.192

----------

Below is Tb4PrSm2Sc after structural relaxation, with properties calculated at the PBE level.

Computed properties:
* space-group type: Pmmm (47)
* DOS(E_F): 18.73 states/eV/cell
* formation energy: 0.135 eV/atom

Structure (POSCAR):
```
Tb4PrSm2Sc
1.0
5.8924 0.0000 0.0000
0.0000 5.9045 0.0000
0.0000 0.0000 7.3756
Tb Pr Sm Sc
4 1 2 1
direct
0.0000 0.0000 0.2396 Tb
0.0000 0.0000 0.7604 Tb
0.5000 0.5000 0.2396 Tb
0.5000 0.5000 0.7604 Tb
0.0000 0.5000 0.5000 Pr
0.0000 0.5000 0.0000 Sm
0.5000 0.0000 0.5000 Sm
0.5000 0.0000 0.0000 Sc
```



Below is KTaRu2 after structural relaxation, with properties calculated at the PBE level.

Computed properties:
* space-group type: Cmm2 (35)
* offset from the most stable computed form: 1.90 eV per formula unit
* DOS(E_F): 11.08 states/eV/cell
* formation energy: 0.833 eV/atom

Structure (POSCAR):
```
KTaRu2
1.0
3.0478 0.0000 0.0000
0.0000 4.7753 0.0000
0.0000 0.0000 10.4441
K Ta Ru
2 2 4
direct
0.0000 0.0000 0.0000 K
0.5000 0.5000 0.0000 K
0.0000 0.5000 0.6804 Ta
0.5000 0.0000 0.6804 Ta
0.0000 0.0000 0.4790 Ru
0.0000 0.5000 0.2714 Ru
0.5000 0.0000 0.2714 Ru
0.5000 0.5000 0.4790 Ru
```

----------

Entry 1:
Computed, not measured: a relaxed NaSr3Ir crystal at the PBE level of DFT.

For the formation energy, the calculation gives 0.570 eV per atom. The energy above the most stable polymorph in this dataset comes out at 66.8 kJ per mole of atoms. The total DFT energy (no corrections) comes out at -0.1819 Ry/atom. Its total magnetization is 0.00 μB/f.u.